What is needed: copy the contents further down from the line with "16," to the end with every line break kept.
~~~
Calculated powder X-ray diffraction pattern
Compound: CsLiMoO4
Radiation: Cu Kα, 1.54184 Å
Structure: a cell relaxed with GGA+U
Kinematic intensities with the Lorentz-polarization factor, no thermal factor.

The 8 most intense peaks (10 to 90 degrees two-theta), most intense first:
- 2θ = 17.8°, I = 100
- 2θ = 29.3°, I = 62
- 2θ = 34.6°, I = 40
- 2θ = 29.4°, I = 28
- 2θ = 52.1°, I = 23
- 2θ = 34.4°, I = 20
- 2θ = 45.9°, I = 15
- 2θ = 51.9°, I = 13

Cell and atoms:
abc: 6.0718 6.0718 8.6513
angles: 90.00 90.00 90.00
Space group I-4 (No. 82)
Asymmetric unit:
Cs (0.0000, 0.0000, 0.0000) (multiplicity 2)
Li (0.0000, 0.0000, 0.5000) (multiplicity 2)
Mo (0.0000, 0.5000, 0.7500) (multiplicity 2)
O (0.0622, 0.2655, 0.6308) (multiplicity 8)

=====

Calculated powder X-ray diffraction pattern
Compound: Mg2Nb2MoO8
Radiation: Cu Kα, 1.54184 Å
Structure: a cell relaxed with GGA+U
Kinematic intensities with the Lorentz-polarization factor, no thermal factor.

The 8 most intense peaks (10 to 90 degrees two-theta), most intense first:
- 2θ = 51.1°, I = 100
- 2θ = 26.2°, I = 76
- 2θ = 34.2°, I = 76
- 2θ = 32.2°, I = 75
- 2θ = 32.1°, I = 72
- 2θ = 20.1°, I = 69
- 2θ = 26.3°, I = 68
- 2θ = 27.3°, I = 63

Cell and atoms:
abc: 19.4772 6.0259 5.3028
angles: 90.00 90.44 90.00
Space group C2/c (No. 15)
Asymmetric unit:
Mg (0.2271, 0.1461, 0.2429) (multiplicity 8)
Nb (0.1190, 0.3406, 0.7486) (multiplicity 8)
Mo (0.0000, 0.1520, 0.2500) (multiplicity 4)
O (0.0592, 0.1223, 0.5942) (multiplicity 8)
O (0.0705, 0.3877, 0.0793) (multiplicity 8)
O (0.1860, 0.3985, 0.4513) (multiplicity 8)
O (0.1934, 0.1430, 0.8791) (multiplicity 8)

=====

Number 2 is which compound? Mg2Nb2MoO8

~~~~~

Record 1
PmPr2Tm9: computed powder diffractogram (Cu Kα (λ = 1.5418 Å)), based on a DFT-relaxed cell (GGA-PBE, Alexandria).

Atomic structure:
a = 11.2004 Å, b = 11.2004 Å, c = 3.4989 Å
α = 90.00°, β = 90.00°, γ = 120.00°
Atoms (fractional coordinates):
Pm: 0.0000 0.0000 0.0000
Pr: 0.3333 0.6667 0.0000
Pr: 0.6667 0.3333 0.0000
Tm: 0.0000 0.5000 0.0000
Tm: 0.1752 0.3504 0.5000
Tm: 0.1752 0.8248 0.5000
Tm: 0.3504 0.1752 0.5000
Tm: 0.5000 0.0000 0.0000
Tm: 0.5000 0.5000 0.0000
Tm: 0.6496 0.8248 0.5000
Tm: 0.8248 0.1752 0.5000
Tm: 0.8248 0.6496 0.5000

Principal peaks in the range 2θ = 10–80°, in order of falling intensity:
2theta, d_spacing, I (rel.), index
31.96, 2.800, 100, 2 2 0
31.53, 2.838, 58, 2 0 1
62.61, 1.484, 29, 2 2 2
30.12, 2.967, 22, 1 1 1
56.69, 1.624, 21, 4 2 1
45.51, 1.993, 20, 4 0 1
56.96, 1.617, 18, 6 0 0
35.46, 2.531, 17, 2 1 1
37.89, 2.375, 13, 3 0 1
66.82, 1.400, 11, 4 4 0


Record 2
Pm3Pr4Tm2: computed powder diffractogram (Cu Kα (λ = 1.5418 Å)), based on a DFT-relaxed cell (GGA-PBE, Alexandria).

Atomic structure:
a = 3.6393 Å, b = 3.6393 Å, c = 27.1822 Å
α = 90.00°, β = 90.00°, γ = 120.00°
Atoms (fractional coordinates):
Pm: 0.0000 0.0000 0.0000
Pm: 0.0000 0.0000 0.3371
Pm: 0.6667 0.3333 0.6751
Pr: 0.0000 0.0000 0.5638
Pr: 0.0000 0.0000 0.7880
Pr: 0.6667 0.3333 0.2286
Pr: 0.6667 0.3333 0.4502
Tm: 0.6667 0.3333 0.1029
Tm: 0.6667 0.3333 0.8938

Principal peaks in the range 2θ = 10–80°, in order of falling intensity:
2theta, d_spacing, I (rel.), index
32.85, 2.727, 100, 0 1 5
31.28, 2.859, 79, 1 0 4
29.58, 3.020, 55, 0 0 9
28.32, 3.152, 54, 1 0 0
59.29, 1.559, 46, 1 1 9
50.13, 1.820, 42, 1 1 0
41.41, 2.181, 35, 0 1 9
55.60, 1.653, 26, 1 0 14
61.25, 1.513, 18, 2 0 5
34.67, 2.587, 16, 0 1 6


Record 3
PmPr10Tm6: computed powder diffractogram (Cu Kα (λ = 1.5418 Å)), based on a DFT-relaxed cell (GGA-PBE, Alexandria).

Atomic structure:
a = 9.8862 Å, b = 9.8862 Å, c = 6.9374 Å
α = 90.00°, β = 90.00°, γ = 120.00°
Atoms (fractional coordinates):
Pm: 0.0000 0.0000 0.0000
Pr: 0.0000 0.2788 0.3213
Pr: 0.0000 0.7212 0.6787
Pr: 0.2788 0.0000 0.3213
Pr: 0.2788 0.2788 0.6787
Pr: 0.3333 0.6667 0.0000
Pr: 0.3333 0.6667 0.5000
Pr: 0.6667 0.3333 0.0000
Pr: 0.6667 0.3333 0.5000
Pr: 0.7212 0.0000 0.6787
Pr: 0.7212 0.7212 0.3213
Tm: 0.0000 0.3657 0.8184
Tm: 0.0000 0.6343 0.1816
~~~
34.67, 2.587, 16, 0 1 6


Record 3
PmPr10Tm6: computed powder diffractogram (Cu Kα (λ = 1.5418 Å)), based on a DFT-relaxed cell (GGA-PBE, Alexandria).

Atomic structure:
a = 9.8862 Å, b = 9.8862 Å, c = 6.9374 Å
α = 90.00°, β = 90.00°, γ = 120.00°
Atoms (fractional coordinates):
Pm: 0.0000 0.0000 0.0000
Pr: 0.0000 0.2788 0.3213
Pr: 0.0000 0.7212 0.6787
Pr: 0.2788 0.0000 0.3213
Pr: 0.2788 0.2788 0.6787
Pr: 0.3333 0.6667 0.0000
Pr: 0.3333 0.6667 0.5000
Pr: 0.6667 0.3333 0.0000
Pr: 0.6667 0.3333 0.5000
Pr: 0.7212 0.0000 0.6787
Pr: 0.7212 0.7212 0.3213
Tm: 0.0000 0.3657 0.8184
Tm: 0.0000 0.6343 0.1816